**What to do**
Count the lines further down that contain the word "degrees" and give the number alone, please.
**Contents**
~~~
No. 1
Compound: LiNi6Ir
Source: Alexandria via LeMat-Bulk
Functional: meta-GGA SCAN
Structure: PBEsol geometry

Calculated values
Its total DFT energy (no corrections) is -21.316 eV/atom.

Lattice parameters (Å, degrees): 6.100 6.100 9.963 90.00 90.00 109.74
Site moments in Bohr magnetons follow the coordinates.
Sites, in units of the cell vectors:
Ir 0.254 0.746 0.500  0.87
Ir 0.000 0.000 0.244  0.77
Ir 0.000 0.000 0.756  0.77
Ir 0.746 0.254 0.500  0.87
Ni 0.125 0.375 0.372  0.83
Ni 0.128 0.379 0.123  0.74
Ni 0.872 0.621 0.123  0.74
Ni 0.000 0.000 0.500  0.88
Ni 0.872 0.621 0.877  0.74
Ni 0.750 0.250 0.248  0.82
Ni 0.375 0.125 0.628  0.83
Ni 0.125 0.375 0.628  0.83
Ni 0.375 0.125 0.372  0.83
Ni 0.000 0.000 0.000  0.64
Ni 0.875 0.625 0.372  0.83
Ni 0.625 0.875 0.372  0.83
Ni 0.750 0.250 0.752  0.82
Ni 0.625 0.875 0.628  0.83
Ni 0.621 0.872 0.877  0.74
Ni 0.500 0.500 0.000  0.65
Ni 0.128 0.379 0.877  0.74
Ni 0.250 0.750 0.752  0.82
Ni 0.250 0.750 0.248  0.82
Ni 0.875 0.625 0.628  0.83
Ni 0.500 0.500 0.500  0.91
Ni 0.379 0.128 0.123  0.74
Ni 0.379 0.128 0.877  0.74
Ni 0.621 0.872 0.123  0.74
Li 0.755 0.245 0.000  -0.02
Li 0.245 0.755 0.000  -0.02
Li 0.500 0.500 0.247  -0.02
Li 0.500 0.500 0.753  -0.02

No. 2
Compound: Bi2HI2
Source: Alexandria via LeMat-Bulk
Functional: meta-GGA SCAN
Structure: PBEsol geometry

Calculated values
Its total DFT energy (no corrections) is -46.546 eV/atom.

Lattice parameters (Å, degrees): 5.872 7.156 7.156 90.00 90.00 90.00
Sites, in units of the cell vectors:
Bi 0.000 0.750 0.750
Bi 0.000 0.250 0.250
Bi 0.000 0.750 0.250
Bi 0.000 0.250 0.750
I 0.500 0.684 0.816
I 0.500 0.184 0.684
I 0.500 0.816 0.316
I 0.500 0.316 0.184
H 0.000 0.500 0.500
H 0.000 0.000 0.000

No. 3
Compound: Cu5As
Source: Alexandria via LeMat-Bulk
Functional: meta-GGA SCAN
Structure: PBEsol geometry

Calculated values
Its total DFT energy (no corrections) is -16.025 eV/atom.

Lattice parameters (Å, degrees): 3.646 3.609 5.795 90.00 108.34 90.00
Sites, in units of the cell vectors:
Cu 0.329 0.500 0.657
Cu 0.000 0.500 0.000
Cu 0.168 0.000 0.337
Cu 0.832 0.000 0.663
Cu 0.671 0.500 0.343
As 0.500 0.000 0.000

~~~~~

The following is a DFT calculation (PBE-GGA) of TcH3Pt after structural relaxation.

```
data_TcH3Pt
_chemical_formula_sum 'Tc1 H3 Pt1'
_cell_length_a 3.443
_cell_length_b 3.443
_cell_length_c 3.443
_cell_angle_alpha 90.00
_cell_angle_beta 90.00
_cell_angle_gamma 90.00
_space_group_name_H-M_alt 'P m -3 m'
_space_group_IT_number 221
_space_group_name_Hall '-P 4 2 3'
loop_
_atom_site_label
_atom_site_type_symbol
_atom_site_fract_x
_atom_site_fract_y
_atom_site_fract_z
Tc1 Tc 0.000 0.000 0.000
H1 H 0.000 0.000 0.500
Pt1 Pt 0.500 0.500 0.500
```

Computed properties:
* mass density: 12.1 g/cm³
* E: -24.3 eV for the cell shown

~~~~~

(1)
A plane-wave DFT calculation with meta-GGA SCAN was carried out for a crystal of Ni2PtCl relaxed with PBEsol.

The structure in POSCAR format:
```
Ni2PtCl
1.0
2.7959 -0.1263 0.0000
-1.3188 2.4686 0.0000
0.0000 0.0000 7.8984
Ni Pt Cl
2 1 1
Direct
0.0000 0.0000 0.2339
0.0000 0.0000 0.7661
0.5000 0.5000 0.5000
0.5000 0.5000 0.0000
```

## Properties
- Crystal system: orthorhombic
- M_tot: 0.55 μB/atom
- Space-group type: Cmmm
- Formation energy without anion corrections: 0.21 eV/atom
- Density of states at the Fermi level: 2.45 states/eV per cell
- Excess energy over the best structure of this formula in the dataset: 0 meV/atom



(2)
A plane-wave DFT calculation with meta-GGA SCAN was carried out for a crystal of NiPt2Cl relaxed with PBEsol.

The structure in POSCAR format:
```
NiPt2Cl
1.0
-2.5683 -0.3070 0.9742
1.6628 -2.5100 3.5929
0.9129 5.1280 0.1020
Pt Cl Ni
2 1 1
Direct
0.9724 0.9724 0.9448
0.7488 0.2488 0.4975
0.5407 0.5407 0.0814
0.2381 0.7381 0.4763
```

## Properties
- Crystal system: orthorhombic
- M_tot: 0.32 μB/atom
- Space-group type: Imm2
- Formation energy without anion corrections: 0.48 eV/atom
- Density of states at the Fermi level: 3.08 states/eV per cell
~~~
**Completed**
3